KS4 and 6th Form English


Exam Board



Course Summary

Students will study both English Language and English Literature, gaining two GCSE at the end of Year 11.  As this is a core subject you have to study it; the route you take and the texts studied will be decided by your English teacher.  They will be selected to be the most appropriate for you based on your achievement in English so far.  You will begin developing the skills required at GCSE from Year 7 and study texts that are on the course from the start of Year 9.  This will make time available in Year 11 to consolidate and deepen knowledge.

What will students learn?

Without studying English at GCSE you would find it difficult to understand and communicate with other people!  You use English skills every day both in school and in your everyday life. By studying English you can learn about the world around you through poets, playwrights and authors; as well as creating your own amazing pieces of writing.  This allows you to empathise with others and work towards a better future for yourself.

Many colleges, universities and jobs require a C grade or higher in English at GCSE level.  English will also help you to cope in the other subjects you have chosen to take.  Studying English allows you to develop analytical skills when reading and the ability to manipulate language to write for different purposes and audiences. The speaking and listening skills you will be taught help you to become confident and articulate; necessary skills for your future academic or working life.

How will students be assessed?

English is assessed solely through examinations which will take place at the end of Year 11; there is no coursework element.

You will study English Language and English Literature alongside each other.

English Language:

Paper 1: Reading: Literature Fiction.  Writing: to describe or narrate.

                1 hour 45 minutes

                50% of the Language GCSE

Paper 2: Reading: Non-fiction texts.  Writing: to present a viewpoint.

/*
The following is a DFT calculation (PBE) of LaSi2Ag after structural relaxation.

a b c (Å): 6.150 6.150 6.150
angles (deg): 143.86 139.91 55.06
Element x y z (fractional)
La: 0.000 0.000 0.000
Si: 0.235 0.735 0.500
Si: 0.381 0.381 0.000
Ag: 0.741 0.241 0.500

Results
Its crystal system is orthorhombic. The value obtained for the density is 5.7 g cm⁻³. Its density of states at the Fermi level is 1.8 states/eV/cell. The value obtained for the formation energy (no corrections) is -0.27 eV per atom.

=====

Entry 1:
Below is GeP2Se after structural relaxation, with properties calculated at the PBEsol level.

Unit cell a=4.524 b=4.524 c=4.524 alpha=60.00 beta=60.00 gamma=60.00
Atoms (fractional coordinates):
Ge  0.000  0.000  0.000
P  0.250  0.250  0.250
P  0.750  0.750  0.750
Se  0.500  0.500  0.500

**SG**: Fm-3m (225)

=====

Entry 2:
Below is Sn3GeP after structural relaxation, with properties calculated at the PBEsol level.

Unit cell a=5.096 b=5.096 c=5.096 alpha=90.00 beta=90.00 gamma=90.00
Atoms (fractional coordinates):
Sn  0.000  0.000  0.500
Sn  0.000  0.500  0.000
Sn  0.500  0.000  0.000
Ge  0.500  0.500  0.500
P  0.000  0.000  0.000

**SG**: Pm-3m (221)
**E_form**: 51.2 kJ/mol of atoms

=====

Entry 3:
Below is Sr3Ge2P4 after structural relaxation, with properties calculated at the PBEsol level.

Unit cell a=7.403 b=17.980 c=7.216 alpha=90.00 beta=111.96 gamma=90.00
Atoms (fractional coordinates):
Sr  0.216  0.184  0.011
Sr  0.216  0.316  0.511
Sr  0.257  0.064  0.512
Sr  0.257  0.436  0.012
Sr  0.261  0.558  0.505
Sr  0.261  0.942  0.005
Sr  0.739  0.058  0.995
Sr  0.739  0.442  0.495
Sr  0.743  0.564  0.988
Sr  0.743  0.936  0.488
Sr  0.784  0.684  0.489
Sr  0.784  0.816  0.989
Ge  0.211  0.627  0.026
Ge  0.211  0.873  0.526
Ge  0.314  0.742  0.908
Ge  0.314  0.758  0.408
Ge  0.686  0.242  0.592
Ge  0.686  0.258  0.092
Ge  0.789  0.127  0.474
Ge  0.789  0.373  0.974
P  0.009  0.559  0.756
P  0.009  0.941  0.256
P  0.045  0.685  0.218
P  0.045  0.815  0.718
P  0.492  0.568  0.239
P  0.492  0.932  0.739
P  0.498  0.700  0.718
P  0.498  0.800  0.218
P  0.502  0.200  0.782
P  0.502  0.300  0.282
P  0.508  0.068  0.261
P  0.508  0.432  0.761
P  0.955  0.185  0.282
P  0.955  0.315  0.782
P  0.991  0.059  0.744
P  0.991  0.441  0.244

**SG**: P2_1/c (14)
**E_form**: -77.3 kJ/mol of atoms

=====

Entry 4:
Below is Ta2GeP2 after structural relaxation, with properties calculated at the PBEsol level.

Unit cell a=7.012 b=7.012 c=7.012 alpha=151.68 beta=151.68 gamma=40.49
Atoms (fractional coordinates):
Ta  0.110  0.110  0.000
Ta  0.890  0.890  0.000
Ge  0.500  0.500  0.000
P  0.250  0.750  0.500
P  0.750  0.250  0.500

**SG**: I4/mmm (139)
**E_form**: -34.0 kJ/mol of atoms

=====

Entry 5:
Below is GeTeP3 after structural relaxation, with properties calculated at the PBEsol level.

Unit cell a=4.659 b=4.659 c=4.659 alpha=90.00 beta=90.00 gamma=90.00
Atoms (fractional coordinates):
Ge  0.000  0.000  0.000
Te  0.500  0.500  0.500
*/
== The entry goes on ==

                1 hour 45 minutes

                 50% of the Language GCSE

English Literature:

Misplaced records of crystals =
# 1
Density functional theory data (PBE) for crystalline BC at its relaxed geometry.

a = 4.7403 Å, b = 4.6831 Å, c = 5.4874 Å
α = 107.05°, β = 109.61°, γ = 44.99°
Closest atoms and distances in Å follow each position.
Positions (direct):
C  0.6488  0.6736  0.8393  3 C 1.51-1.55, 1 B 1.66
C  0.2558  0.7544  0.7465  2 C 1.49-1.53, 1 B 1.61
C  0.9096  0.4135  0.0659  1 C 1.51, 3 B 1.58-1.63
C  0.9966  0.0039  0.5189  2 C 1.49-1.51, 2 B 1.60
C  0.5892  0.1225  0.4236  1 C 1.51, 3 B 1.60-1.69
C  0.5758  0.0641  0.9024  1 C 1.55, 3 B 1.61-1.67
B  0.9890  0.0017  0.9941  3 C 1.63-1.72
B  0.2936  0.7235  0.3138  1 C 1.60, 1 B 1.76
B  0.6899  0.6863  0.3121  2 C 1.61-1.69, 2 B 1.73-1.76
B  0.3391  0.2824  0.1410  3 C 1.58-1.61
B  0.8602  0.4384  0.5774  2 C 1.60-1.66, 1 B 1.73
B  0.3526  0.3358  0.6650  3 C 1.61-1.63

Results
Its space group is P1. The calculation puts the raw total energy at -0.5565 Ry/atom. Its formation energy is 0.76 eV per formula unit. The energy above the most stable polymorph in this dataset is 0.46 eV per formula unit. As for the calculated volume: 80.8 Å³/cell.



# 2
Density functional theory data (PBE) for crystalline B7C5 at its relaxed geometry.

a = 4.4230 Å, b = 4.4230 Å, c = 8.7660 Å
α = 121.17°, β = 121.17°, γ = 33.91°
Closest atoms and distances in Å follow each position.
Positions (direct):
B  0.0014  0.0014  0.9588  3 C 1.61-1.66, 1 B 1.80
B  0.3698  0.3698  0.1633  2 C 1.60, 1 B 1.78
B  0.7011  0.7011  0.8519  2 C 1.61-1.68
B  0.6353  0.6353  0.3441  1 C 1.63, 1 B 1.83
B  0.4547  0.4547  0.3982  2 C 1.57
B  0.1485  0.1485  0.2031  3 B 1.80-1.83, 1 C 1.85
B  0.1662  0.1662  0.6890  2 C 1.57-1.59
C  0.8886  0.8886  0.0655  4 B 1.60-1.68
C  0.3381  0.3381  0.6623  3 C 1.52-1.56, 1 B 1.59
C  0.9676  0.9676  0.5061  1 C 1.54, 3 B 1.57
C  0.8167  0.8167  0.5530  3 C 1.54-1.56, 1 B 1.63
C  0.5119  0.5119  0.8547  1 C 1.52, 3 B 1.61

Results
Its space group is Cm. The calculation puts the raw total energy at -0.5406 Ry/atom. Its formation energy is 4.60 eV per formula unit. The energy above the most stable polymorph in this dataset is 2.63 eV per formula unit. As for the calculated volume: 80.5 Å³/cell.



# 3
Density functional theory data (PBE) for crystalline B3C2 at its relaxed geometry.

a = 4.0566 Å, b = 2.7770 Å, c = 3.6518 Å
α = 90.00°, β = 90.00°, γ = 90.00°
Closest atoms and distances in Å follow each position.
Positions (direct):
B  0.2945  0.0000  0.5000  2 C 1.63, 1 B 1.67
B  0.7055  0.0000  0.5000  2 C 1.63, 1 B 1.67
B  0.0000  0.5000  0.5000  4 C 1.78, 4 B 1.83
C  0.0000  0.0000  0.1963  1 C 1.43
C  0.0000  0.0000  0.8037  1 C 1.43

Results
Its space group is Pmmm. The calculation puts the raw total energy at -0.5310 Ry/atom. Its formation energy is 2.36 eV per formula unit. The energy above the most stable polymorph in this dataset is 1.30 eV per formula unit. As for the calculated volume: 41.1 Å³/cell.



# 4
Density functional theory data (PBE) for crystalline B3C5 at its relaxed geometry.

Paper 1: Shakespeare and the 19th   

                 Century Novel               

                1 hour 45 minutes.

                40% of the Literature GCSE

Paper 2: Modern Prose or Drama and Poetry (studied and unseen)

                2 hours 15 minutes

                60% of the Literature GCSE

Speaking and Listening: is a separate element to the course which will be assessed for three different skills and will be awarded its own grade